Baltimore City P.O. vs 14 yo skateboarder

Go G-Men

New Member
Then maybe he should find a new line of work.

I deal with people on an almost daily basis that I'm sick and tired of, but I somehow manage to maintain my composure. It is what adults do.

You don't deal with a child by acting like one.

So you deal with punks and thug teenagers everyday?


I'm Rick James #####!
Fair enough... I agree with that but there is also something to be said about teaching kids to respect authority... When I was a kid... The adults in my neighborhood didn't have to earn my respect... I was taught to give it...

:shrug: I was taught differently.

Everybody deserves courtesy until they prove otherwise.

Nobody DESERVES respect until they earn it.

Most people see "respect" and "fear" as synonymous, they are NOT. Somebody that says "I demand respect" doesn't know the meaning of the word (and likely doesn't care.) What they really mean is "I want people do do as I tell them, and I don't care if they fear me"


b*tch rocket
So you deal with punks and thug teenagers everyday?

Let's hope you don't, if you can't see the flaw in this man's character and how he performs his job, I would wager that you have similar behavior patterns.

Quite disturbing really.


New Member
As a society we will keep eroding the authority of the police until we live in an anarchist society without police protection... Then you, spare the rod save the child, bleeding heart liberals will be b1tch1ng about how bad society is...

Where in my reply do you get "spare the rod save the child, bleeding heart liberal".....? Since you've told everyone how it is in your police state - everyone robotically shuts down whenever being spoken at by a police officer/storm trooper/etc., becuase they are the only ones who can protect us from the gathering horde - let me tell you how it is in the USA. We have this thing called the Constitution. In it there are these things called the Bill of Rights, of which the second one is The Right to Bear Arms. That is the only protection I need. Bleeding heart liberals are the ones trying to take this right away and give it to the Dude Rivieri's of the world. Maybe because you are from New Jersey you don't know about this form of protection; maybe that's why the minute you hear a cop's bellow, you immediately put your tail between your legs and whimper. Until your police protection can protect me 24/7, I will rely on myself. I'm guessing the next lesson will be on the First Amendment......

Go G-Men

New Member
Let's hope you don't, if you can't see the flaw in this man's character and how he performs his job, I would wager that you have similar behavior patterns.

Quite disturbing really.

Actually I have a 13 year old son and a 17 year old daughter and I am happy both have respect for me and I have instilled in them respect for all adults until an adult proves they are not deserving of such repect.

So again I ask, do you deal with punk teenagers every day?


b*tch rocket
Most people see "respect" and "fear" as synonymous, they are NOT.


You know, it's not even so much that this cop needs to earn some punk kids respect, that's not part of his job description. It's more a matter of having some respect for yourself and the job you're being paid to do. The way he behaved put a bad light on all cops. He fed in to the stereotype of thug cops who abuse their power.


I'm Rick James #####!

You know, it's not even so much that this cop needs to earn some punk kids respect, that's not part of his job description. It's more a matter of having some respect for yourself and the job you're being paid to do. The way he behaved put a bad light on all cops. He fed in to the stereotype of thug cops who abuse their power.

Whoa, wait a second there. I disagree. The way he acted reflects poorly ONLY on himself.

Go G-Men

New Member
Where in my reply do you get "spare the rod save the child, bleeding heart liberal".....? Since you've told everyone how it is in your police state - everyone robotically shuts down whenever being spoken at by a police officer/storm trooper/etc., becuase they are the only ones who can protect us from the gathering horde - let me tell you how it is in the USA. We have this thing called the Constitution. In it there are these things called the Bill of Rights, of which the second one is The Right to Bear Arms. That is the only protection I need. Bleeding heart liberals are the ones trying to take this right away and give it to the Dude Rivieri's of the world. Maybe because you are from New Jersey you don't know about this form of protection; maybe that's why the minute you hear a cop's bellow, you immediately put your tail between your legs and whimper. Until your police protection can protect me 24/7, I will rely on myself. I'm guessing the next lesson will be on the First Amendment......

Damm a gun toting liberal... Now I have seen everything...

Believe it or not I support your right to defend and protect yourself but you go a little too far as to suggest that I suggested everyone should cower to a police officer just because he bellows...

What I suggest is hear out the officer and if you don't agree you can tell him or her that respectfully..

P.S. being from New Jersey (the old Jersey, not todays 2nd most socialist state) I assure you I know about the right to bear arms and to defend ones self..


New Member
What this cop really needs is to have the father of this child beat the snot out of him.

Of course that would never happen and if it did the cop would have the father charged with assault. In fact the officer should be charged with assault. You can bet your azz if this had been a black kid in Mobtown. Jesse and the troops would be out in full force. Rightfully so.


b*tch rocket
Whoa, wait a second there. I disagree. The way he acted reflects poorly ONLY on himself.

I disagree, his behavior makes the job much harder for every cop out there. He has a responsibility in his role as representing law enforcement to act like a professional, instead he acted like a bully.

I bet he was picked on in school. :jet:


New Member
Damm a gun toting liberal... Now I have seen everything...

Believe it or not I support your right to defend and protect yourself but you go a little too far as to suggest that I suggested everyone should cower to a police officer just because he bellows...

What I suggest is hear out the officer and if you don't agree you can tell him or her that respectfully..QUOTE]

So, you don't know me, yet I'm a bleeding heart liberal. The people who know me will get quite a laugh when I tell them of this discussion with a Fascist from NJ. Now I can hear one of my buddies saying, "Just because I'm to the left of you, doesn't make me a liberal". No, G-Man, I am someone who believes in the foundation of this country as stated by the Founding Fathers. If you consider that Liberal, then I can live with that.

But back to the topic, you say you defend my right to protect myself, yet the great majority of American City Police Chiefs and Departments say NO. You are willing to go against these guys you respect so much?

Do you really believe if this kid sat there and heard Dude out, Rivieri would have listened just as respectfully? No, that cop was on a power trip that he's probably been riding for 17 years and would have continued riding if not for some kid with a camera. People like you celebrate him for cleaning up your streets until he puts your kid in a head-lock for littering or whatever other little offense can be found to make him feel better about having some miserable job. Yeah, we're all the better for that! Thanks for manning the wall, "Officer" Rivieri!

Go G-Men

New Member
No I don't. Never been around one, didn't even know they existed until you enlightened me. :jet:

Your sarcasm is answer enough..

You don't and yet you pass judgment on those that do.. Walk a mile in his shoes and than decide how goodie two-shoes these kids are.

Go G-Men

New Member
Damm a gun toting liberal... Now I have seen everything...

Believe it or not I support your right to defend and protect yourself but you go a little too far as to suggest that I suggested everyone should cower to a police officer just because he bellows...

What I suggest is hear out the officer and if you don't agree you can tell him or her that respectfully..QUOTE]

So, you don't know me, yet I'm a bleeding heart liberal. The people who know me will get quite a laugh when I tell them of this discussion with a Fascist from NJ. Now I can hear one of my buddies saying, "Just because I'm to the left of you, doesn't make me a liberal". No, G-Man, I am someone who believes in the foundation of this country as stated by the Founding Fathers. If you consider that Liberal, then I can live with that.

But back to the topic, you say you defend my right to protect myself, yet the great majority of American City Police Chiefs and Departments say NO. You are willing to go against these guys you respect so much?

Do you really believe if this kid sat there and heard Dude out, Rivieri would have listened just as respectfully? No, that cop was on a power trip that he's probably been riding for 17 years and would have continued riding if not for some kid with a camera. People like you celebrate him for cleaning up your streets until he puts your kid in a head-lock for littering or whatever other little offense can be found to make him feel better about having some miserable job. Yeah, we're all the better for that! Thanks for manning the wall, "Officer" Rivieri!

Yes I am willing to disagree with the police chiefs but that does not mean that I will resort to name-calling or disrespecting them either..

As far as my kid goes... He won't get put in a headlock by a cop because he will not ignore the police or disrespect them..

Lastly, the founding fathers did not live in the society we live in today. This kid would not have been out there breaking the law or he would have ended up in the stockade in the public square


b*tch rocket
Your sarcasm is answer enough..

You don't and yet you pass judgment on those that do.. Walk a mile in his shoes and than decide how goodie two-shoes these kids are.

Hmmm, I challenge you to find any comment that I made that would even remotely indicate that I thought the kid was a "goodie two-shoes".

What you fail to be comprehending is that it doesn't matter what the kid did, anyway you spin it, the cop in question behaved inapropriately, and it doesn't matter if he has to deal with thugs and punk kids all day long (one would think he would, it is his JOB), it does not give him the excuse to behave like a deranged imbecile. If he can't deal with all the crap he gets on any given day, he needs to find another profession. Simple as that.

Go G-Men

New Member
Hmmm, I challenge you to find any comment that I made that would even remotely indicate that I thought the kid was a "goodie two-shoes".

What you fail to be comprehending that it doesn't matter what the kid did, anyway you spin it, the cop in question behaved inapropriately, and it doesn't matter if he has to deal with thugs and punk kids all day long (one would think he would, it is his JOB), it does not give him the excuse to behave like a deranged imbecile. If he can't deal with all the crap he gets on any given day, he needs to find another profession. Simple as that.

• Data records, kept here for reference:
'''
For DyFe12B4, a DFT-relaxed cell (PBE, Alexandria) gives the computed powder X-ray diffraction pattern in this record (CuKα).

Structural model:
Lattice parameters (Å, degrees): 6.3239 6.3239 6.3239 109.47 109.47 109.47
Atoms (fractional coordinates):
Dy (0.0000, 0.0000, 0.0000)
Fe (0.1642, 0.8248, 0.3395)
Fe (0.1752, 0.3395, 0.5147)
Fe (0.1752, 0.6605, 0.8358)
Fe (0.3395, 0.1642, 0.8248)
Fe (0.3395, 0.5147, 0.1752)
Fe (0.4853, 0.8248, 0.6605)
Fe (0.5147, 0.1752, 0.3395)
Fe (0.6605, 0.4853, 0.8248)
Fe (0.6605, 0.8358, 0.1752)
Fe (0.8248, 0.3395, 0.1642)
Fe (0.8248, 0.6605, 0.4853)
Fe (0.8358, 0.1752, 0.6605)
B (0.0000, 0.0000, 0.5000)
B (0.0000, 0.5000, 0.0000)
B (0.5000, 0.0000, 0.0000)
B (0.5000, 0.5000, 0.5000)

Principal peaks in the range 2θ = 10–80°, sorted by position:
2θ = 17.2°, d = 5.163 Å, intensity 13
2θ = 30.0°, d = 2.981 Å, intensity 17
2θ = 39.0°, d = 2.309 Å, intensity 100
2θ = 46.5°, d = 1.952 Å, intensity 61
2θ = 62.3°, d = 1.491 Å, intensity 16
2θ = 65.1°, d = 1.432 Å, intensity 25
2θ = 76.0°, d = 1.252 Å, intensity 13
2θ = 78.6°, d = 1.217 Å, intensity 15


Diffraction record for Sm3Si6Pd2Rh. The XRD peak list is calculated, not measured: it uses a structure optimized by DFT (GGA-PBE) and Cu Kα X-rays.

Cell and atoms:
```
Sm3Si6Pd2Rh
1.0
5.775 0.000 0.000
-2.888 5.002 0.000
0.000 0.000 7.949
Sm Si Pd Rh
3 6 2 1
direct
0.000 0.000 0.000
0.333 0.667 0.626
0.667 0.333 0.374
0.191 0.382 0.294
0.191 0.809 0.294
0.382 0.191 0.706
0.618 0.809 0.294
0.809 0.191 0.706
0.809 0.618 0.706
0.333 0.667 0.037
0.667 0.333 0.963
0.000 0.000 0.500
```

Largest 10 diffraction maxima, most intense first, 2θ = 5–70°:
30.97 deg, d = 2.888 Å, I = 1000, hkl 1 1 0
38.53 deg, d = 2.337 Å, I = 563, hkl 1 1 2
28.69 deg, d = 3.112 Å, I = 554, hkl 0 1 2
42.72 deg, d = 2.117 Å, I = 347, hkl 2 0 2
53.69 deg, d = 1.707 Å, I = 196, hkl 1 2 2
46.52 deg, d = 1.952 Å, I = 188, hkl 1 1 3
55.09 deg, d = 1.667 Å, I = 184, hkl 3 0 0
64.54 deg, d = 1.444 Å, I = 182, hkl 2 2 0
37.71 deg, d = 2.386 Å, I = 171, hkl 0 2 1
49.35 deg, d = 1.847 Å, I = 163, hkl 0 1 4


Diffraction record for Sm4P2SeS. The XRD peak list is calculated, not measured: it uses a structure optimized by DFT (GGA-PBE) and Cu Kα X-rays.

Cell and atoms:
```
Sm4P2SeS
1.0
5.795 0.000 0.000
'''
• The entry goes on:

A deranged imbecile... You make it sound like he pounded on this kid or called him names... All he did was get the kid attention.. It worked.. The kid shut up and listened.. Mission accomplished..


I'm Rick James #####!
I disagree, his behavior makes the job much harder for every cop out there. He has a responsibility in his role as representing law enforcement to act like a professional, instead he acted like a bully.

I bet he was picked on in school. :jet:

That is correct, HE acted...

Painting all law enforcement officers with the broad brush of suspicion based on the actions of an individual, is just as foolish as blindly trusting anybody with a badge.


b*tch rocket
That is correct, HE acted...

Painting all law enforcement officers with the broad brush of suspicion based on the actions of an individual, is just as foolish as blindly trusting anybody with a badge.

I'm not painting anyone with a broad brush, the fact of the matter is, people do it, it's just how it is. :shrug:


New Member
Yes I am willing to disagree with the police chiefs but that does not mean that I will resort to name-calling or disrespecting them either..

OK, I will end with this: Just to show you exactly how you are the "do as I say, not as I do" kind of person that serves us so well in government today, I have listed just some of the name-calling you have resorted to recently:

"Goodie two-shoes", "gun toting liberal", "punks and thug teenagers", "spare the rod save the child, bleeding heart liberals", and finally, "somewhat intelligent from the morons". I won't even guess where you think you are on the last quote.